
Lime Treatment a Stunning Cure for Sweden’s Atran River, Sick From Acid Rain

Associated Press

┌──
*w*
ORCA calculation (the ωB97M-V functional and the def2-TZVPD basis) on a single C4H6N2 molecule.

```
! RIJCOSX wB97M-V def2-TZVPD def2/J DEFGRID3
* xyz 0 1
N 0.25 0.35 -1.92
C 1.37 -0.05 -1.56
C 1.28 -0.76 -0.20
N -0.04 -0.57 0.40
C -1.03 -0.05 -0.42
C -0.51 0.79 0.68
H 1.44 -1.83 -0.39
H 2.05 -0.42 0.49
H -2.02 -0.51 -0.50
H -0.52 0.78 -2.36
H 0.11 1.63 0.38
H -0.99 0.90 1.65
*
```

The calculation puts the HOMO-LUMO gap at 9.16 eV. As for the LUMO energy: 1.12 eV. The value obtained for the HOMO energy is -0.2958 Ha.

*x*
ORCA calculation (the ωB97M-V functional and the def2-TZVPD basis) on a single C4H6N2 molecule.

```
! RIJCOSX wB97M-V def2-TZVPD def2/J DEFGRID3
* xyz 0 1
C -1.72 -0.08 -0.20
C -0.24 -0.03 -0.20
C 0.78 -0.94 -0.13
C 1.93 -0.16 0.13
N 1.64 1.11 0.28
N 0.29 1.17 0.13
H -2.39 0.68 0.23
H -2.32 -0.60 -0.93
H -1.55 -0.70 0.87
H 0.75 -2.01 -0.24
H 2.95 -0.50 0.19
H -0.10 2.07 -0.11
*
```

As for the SMILES: Cc1ccn[nH]1. The calculation puts the HOMO-LUMO gap at 9.68 eV. As for the LUMO energy: 0.89 eV. The value obtained for the HOMO energy is -0.3231 Ha.

Name the most stable of them. *x*.

*w*
ORCA calculation (the ωB97M-V functional and the def2-TZVPD basis) on 2 unconnected molecules or ions with the total composition C7H13N.

```
! RIJCOSX wB97M-V def2-TZVPD def2/J DEFGRID3
* xyz 0 1
C 0.34 -0.29 -0.28
C 0.50 0.55 0.82
C 1.00 -1.63 -0.15
C 2.37 -1.05 -0.23
C 0.01 0.20 -1.66
N 0.31 1.87 0.85
C -1.82 -0.36 0.51
C -2.65 0.60 0.89
H 0.81 0.10 1.75
H -0.03 2.35 0.03
H 0.24 2.35 1.73
H 0.72 -2.30 -0.97
H 0.77 -2.12 0.79
H 2.86 -0.91 -1.18
H 2.98 -0.99 0.66
H -2.15 -1.39 0.40
H 0.92 0.27 -2.26
H -0.67 -0.50 -2.14
H -0.48 1.17 -1.67
H -3.71 0.44 1.09
H -2.31 1.63 1.02
*
```

The calculation puts the HOMO-LUMO gap (alpha / beta) at 6.76 / 7.31 eV. As for the LUMO energy (alpha / beta): 0.82 / 0.82 eV. The value obtained for the HOMO energy (alpha / beta) is -0.2183 / -0.2388 Ha.

*x*
ORCA calculation (the ωB97M-V functional and the def2-TZVPD basis) on a single C7H13N molecule.

```
! RIJCOSX wB97M-V def2-TZVPD def2/J DEFGRID3
* xyz 0 1
C -1.00 2.39 -3.35
C -0.40 1.42 -2.68
C -0.86 0.80 -1.44
C -0.07 0.06 -0.66
C -0.58 -0.58 0.60
C 0.45 -0.62 1.76
C 1.66 -1.46 1.37
N -0.26 -1.09 2.95
H -1.93 2.83 -2.98
H -0.74 2.98 -4.22
H 0.47 0.95 -3.14
H -1.80 1.20 -1.09
H 0.99 0.01 -0.88
H -1.51 -0.15 0.96
H -0.83 -1.62 0.36
H 0.74 0.42 1.88
H 1.41 -2.18 0.58
H 2.03 -2.05 2.20
H 2.40 -0.87 0.83
H -0.20 -0.45 3.73
H 0.05 -2.01 3.23
*
```

As for the SMILES: C=C/C=C/C[C@H](C)N. The calculation puts the HOMO-LUMO gap at 9.58 eV. As for the LUMO energy: 1.10 eV. The value obtained for the HOMO energy is -0.3118 Ha.

Name the most stable of them. *x*.

*w*
ORCA calculation (the ωB97M-V functional and the def2-TZVPD basis) on a single C7H13N molecule.

```
! RIJCOSX wB97M-V def2-TZVPD def2/J DEFGRID3
* xyz 0 1
C 1.02 -2.85 -1.09
C 0.99 -1.52 -1.10
C 0.58 -0.74 0.11
N 1.52 -0.88 1.16
C -0.36 0.20 0.02
C -1.22 0.30 -1.24
C -0.73 1.13 1.16
└──

The Atran River, tumbling lazily into the North Sea, was so vinegary from acid rain 10 years ago that its famous salmon were nearly gone.

But experts since have treated the Atran with heavy doses of lime and Swedish environmentalists have declared the river cured.

Salmon are back in greater numbers than ever.

The use of large amounts of lime also is proving successful in other areas of Sweden.

Stunning Results

Over the last few years, helicopters and boats have dumped thousands of tons of powdered lime into rivers and lakes to counteract acid rain driven by wind from Europe’s industrial areas.


The results have been stunning, fisheries inspector Brodde Almer said of the Atran.

“There were so many salmon in the river that we decided to extend the season by two weeks,” he said.

By 1978, catches had dropped to 200 salmon, or 1,550 pounds. This year the river gave up 2,993 salmon weighing more than 10 tons, making it one of the best salmon rivers in all of Scandinavia.

5,000-Year-Old Practice

Liming was used by Greek farmers 5,000 years ago to neutralize acidity in their fields after harvesting.


Sweden followed their example after acid rain began killing its rivers. Until this year it was the only country engaged in large-scale, state-funded liming. Norway has started a similar project but on a smaller scale.

Part of the reason for Sweden’s success is the low cost of liming. Almer said that it costs just $50 a ton to mine lime and distribute it.

Since 1976, the government has spent $83 million to clean Sweden’s water resources. This year it set aside $19 million for liming.

### Misplaced data records
- - -
(1)
C58H48GeN10O3Sr as an isolated structure. Source: OMol25; level of theory: ωB97M-V/def2-TZVPD.

Atoms and positions in Å:
Sr (-1.034, -0.494, -0.463)
C (-2.145, -5.170, 2.993)
N (-2.334, -3.755, 2.749)
C (-1.497, -2.875, 2.194)
N (-2.047, -1.679, 2.154)
C (-3.270, -1.895, 2.713)
N (-3.486, -3.132, 3.097)
C (-0.945, -5.482, 3.860)
C (-0.431, -6.774, 3.868)
C (0.642, -7.104, 4.684)
C (1.226, -6.144, 5.495)
C (0.718, -4.851, 5.485)
C (-0.366, -4.524, 4.677)
C (1.319, -3.823, 6.336)
N (2.056, -3.960, 7.378)
N (2.343, -2.665, 7.825)
C (1.752, -1.868, 7.009)
O (1.079, -2.524, 6.032)
C (1.714, -0.405, 7.012)
C (1.929, 0.279, 8.200)
C (1.877, 1.665, 8.204)
C (1.618, 2.356, 7.032)
C (1.414, 1.671, 5.837)
C (1.151, 2.474, 4.582)
N (1.087, 1.679, 3.372)
C (0.029, 1.141, 2.758)
N (0.421, 0.452, 1.706)
C (1.775, 0.583, 1.742)
N (2.226, 1.319, 2.733)
C (1.462, 0.288, 5.830)
H (-2.067, -5.690, 2.037)
H (-3.060, -5.504, 3.480)
H (-0.513, -3.140, 1.838)
H (-4.011, -1.120, 2.825)
H (-0.878, -7.532, 3.234)
H (1.030, -8.114, 4.681)
H (2.071, -6.380, 6.127)
H (-0.756, -3.515, 4.698)
H (2.128, -0.278, 9.106)
H (2.036, 2.208, 9.126)
H (1.581, 3.440, 7.043)
H (1.949, 3.199, 4.430)
H (0.212, 3.022, 4.670)
H (-0.992, 1.279, 3.081)
H (2.431, 0.124, 1.019)
H (1.312, -0.264, 4.911)
C (-5.231, 1.677, 1.090)
C (-5.976, 1.633, -0.084)
C (-5.392, 1.120, -1.229)
C (-4.072, 0.648, -1.193)
C (-3.280, 0.651, -0.026)
C (-3.929, 1.189, 1.097)
C (-3.486, 0.136, -2.473)
C (-3.858, 0.729, -3.718)
C (-3.313, 0.281, -4.875)
C (-2.385, -0.787, -4.852)
C (-1.777, -1.306, -6.018)
C (-0.879, -2.331, -5.933)
C (-0.555, -2.877, -4.671)
C (-1.131, -2.393, -3.531)
C (-2.061, -1.328, -3.596)
N (-2.607, -0.853, -2.429)
H (-5.674, 2.085, 1.994)
H (-6.999, 1.989, -0.104)
H (-5.980, 1.061, -2.140)
H (-3.392, 1.232, 2.049)
H (-4.547, 1.562, -3.714)
H (-3.567, 0.742, -5.823)
H (-2.030, -0.870, -6.977)
H (-0.413, -2.724, -6.827)
H (0.166, -3.683, -4.611)
H (-0.876, -2.801, -2.561)
C (-0.046, -6.102, -1.509)
C (-0.881, -5.057, -0.917)
N (-1.522, -4.210, -0.483)
H (0.737, -6.393, -0.811)
H (0.415, -5.727, -2.420)
H (-0.654, -6.972, -1.750)
O (0.433, 0.224, -2.139)
C (1.312, -0.549, -1.655)
O (1.040, -1.539, -0.908)
C (2.752, -0.277, -2.013)
C (3.134, 1.205, -2.056)
Ge (1.920, 2.548, -2.812)
C (3.101, 4.131, -2.876)
C (3.360, 4.864, -1.715)
C (4.225, 5.950, -1.723)
C (4.850, 6.331, -2.903)
C (4.606, 5.617, -4.067)
C (3.742, 4.528, -4.051)
C (0.370, 3.099, -1.781)
C (0.456, 3.299, -0.402)
C (-0.643, 3.742, 0.325)
C (-1.848, 3.992, -0.316)
C (-1.949, 3.792, -1.683)
C (-0.851, 3.344, -2.408)
C (1.459, 2.162, -4.660)
C (1.775, 0.939, -5.248)
C (1.540, 0.711, -6.599)
C (0.985, 1.710, -7.385)
C (0.664, 2.935, -6.817)
C (0.905, 3.158, -5.468)
H (2.861, -0.710, -3.012)
H (3.401, -0.849, -1.351)
H (4.055, 1.326, -2.630)
H (3.359, 1.584, -1.052)
H (2.873, 4.596, -0.782)
H (4.407, 6.504, -0.810)
H (5.521, 7.180, -2.915)
H (5.089, 5.908, -4.992)
H (3.567, 3.983, -4.972)
H (1.388, 3.105, 0.120)
- - -
### The article goes on


PH Value Increased

Farmers spend a similar amount to lime their fields.

Results have been most dramatic in rivers like the Atran and its tiny tributary, the Hogvadsan, which once had a pH value of 4.5. PH value is a measure of acidity, and pure vinegar measures a 3. The higher the pH, the less the acid.

The Ph value is up to 7.1 now in the Atran and 6.0 in the Hogvadsan.

Almer said that 10,000 tons of lime were poured into the Atran system over the last decade. “That has turned the tide,” he said.

Acid rain is caused by burning oil and coal spewing sulfur dioxide and nitric oxides into the air, where they are transformed into volatile acids.

Delicate Topsoil

About half the acid rain in Sweden falls as snow. Pollutants build up during the winter months and wash out with the spring thaw, producing a sudden peak of acidity in lakes and rivers at a time of the hatching and spawning of the fish.

In most of Scandinavia the bedrock is acidic granite, with a topsoil layer so thin that it holds nothing to neutralize acid rains.

Acidification of the water or soil can poison the food chain and endanger human health, said William Dickson, a researcher of the Natural Protection Board.


“Fish that don’t die become poisonous to predators that eat them, including humans, because of accumulations of heavy metals in the fish’s tissues,” Dickson said.

Moose, Water Contaminated

He cited as one example the discovery of high concentrations of cadmium in the kidneys of moose, which become contaminated by eating leaves and grass.

“More alarming is the fact that ground water in western parts of Sweden has been contaminated,” he said. “In some parts of the country, high levels of aluminium and copper have been found in drinking water.”

Scientists also suspect that acid rain is making trees less resistant to disease, which could explain the extensive damage caused by insects in recent years here and elsewhere in northern and central Europe.

=====
No. 1
C3H15NO3 | ωB97M-V/def2-TZVPD

Last column: Löwdin charge in e.
Atoms and positions in Å:
C1 0.9617 0.1019 0.3096  -0.1219
C2 1.7972 0.8615 -0.7193  -0.2640
C3 1.3605 0.6821 -2.1668  -0.2983
N1 1.0225 1.9948 -2.7468  -0.0256
H1 -0.0609 0.5042 0.2894  0.0711
H2 1.2482 0.1433 1.3485  0.0587
H3 0.8793 -0.9548 0.0449  0.0595
H4 1.7725 1.9205 -0.4391  0.1015
H5 2.8356 0.5828 -0.5810  0.0942
H6 0.5440 -0.0263 -2.2428  0.0931
H7 2.2025 0.2707 -2.7258  0.1042
H8 0.2486 2.3691 -2.1877  0.0669
H9 0.6855 1.8826 -3.7010  0.0597
O1 -0.9005 -2.8814 -1.5252  -0.0702
H10 -0.2576 -3.6053 -1.5276  0.0434
H11 -1.7317 -3.3204 -1.7405  0.0352
O2 -1.6797 1.8597 6.4773  -0.0660
H12 -1.1525 1.4738 5.7631  0.0349
H13 -1.0220 2.1428 7.1222  0.0311
O3 -3.1621 -2.3185 0.3217  -0.0694
H14 -3.3722 -1.4104 0.0774  0.0353
H15 -2.2189 -2.2725 0.5497  0.0265

Total charge: 0
Kohn-Sham gap (eV): 9.83
Energy relative to the best compared isomer or geometry (same formula, charge and spin) (eV): 1.067
HOMO energy (eV): -9.2855
Largest force on an atom (eV Å⁻¹): 1.35

=====

No. 2
C13H23NO6 | ωB97M-V/def2-TZVPD

Last column: Löwdin charge in e.
Atoms and positions in Å:
C1 -3.8269 0.5376 -0.1217  -0.0641
C2 -3.2755 0.8063 1.2859  -0.3590
C3 -2.5379 2.1608 1.4866  -0.0834
C4 -1.1388 2.3359 0.8524  -0.6680
O1 -0.1223 2.1105 1.5953  -0.0939
O2 -1.0234 2.6214 -0.3602  -0.0530
C5 -2.5174 -0.4103 1.8225  -0.0559
C6 -1.1775 -0.8589 1.1921  -0.4339
O3 -0.4913 -1.4395 1.9917  0.0942
O4 -0.9053 -0.7805 -0.1252  0.0288
C7 0.3952 -1.2004 -0.6169  -0.2204
C8 -0.0071 -2.0711 -1.8402  -0.0029
C9 1.1521 -2.9094 -2.3958  -0.4622
O5 2.3287 -2.5519 -2.2512  0.0613
O6 0.8305 -4.0509 -3.0144  0.1394
C10 1.1736 0.0809 -0.9697  -0.0499
N1 2.3140 0.4839 -0.0930  -0.3290
C11 2.1119 0.2539 1.3678  0.0006
C12 2.3000 1.9317 -0.2040  -0.0391
C13 3.5687 -0.1737 -0.5671  0.0180
H1 -3.0544 0.5964 -0.8395  0.0516
H2 -4.6209 1.2603 -0.3602  0.0842
H3 -4.2774 -0.4590 -0.1373  0.0769
H4 -4.1804 0.8676 1.9205  0.1329
H5 -3.2108 2.9322 1.0764  0.1130
H6 -2.4874 2.3861 2.5782  0.1191
H7 -2.3495 -0.2085 2.8652  0.1235
H8 -3.1579 -1.2600 1.7745  0.1132
H9 0.9623 -1.7625 0.1238  0.1453
H10 -0.7720 -2.7898 -1.4654  0.1488
H11 -0.4355 -1.4648 -2.6509  0.1493
H12 1.6703 -4.3508 -3.3587  0.1213
H13 1.5106 -0.0429 -2.0207  0.1528
H14 0.4659 0.9108 -0.9870  0.1197
H15 1.0958 0.3744 1.6784  0.0619
H16 2.7654 0.9023 1.9806  0.1230
H17 2.3780 -0.8069 1.5636  0.1157
H18 1.2837 2.3107 -0.1361  0.0743
H19 2.6949 2.2393 -1.1682  0.1095
H20 2.9321 2.4451 0.5480  0.1249
H21 3.3725 -1.2154 -0.7465  0.0750
H22 4.3459 -0.0565 0.2203  0.1195
H23 3.9174 0.3154 -1.4936  0.1170

Total charge: 0
Kohn-Sham gap (eV): 7.99
Energy relative to the best compared isomer or geometry (same formula, charge and spin) (eV): 0.224
HOMO energy (eV): -7.7845
Largest force on an atom (eV Å⁻¹): 3.08

=====

No. 3
C3H5BO4 | ωB97M-V/def2-TZVPD

Last column: Löwdin charge in e.
Atoms and positions in Å:
B1 -1.2719 0.8378 0.0627  -0.8187
=====

Dickson warned that liming can’t be the solution to the acid rain problem, and the objective must be to stop the pollution at the source.

“Liming all our waters would cost us an estimated 600 million kronor ($100 million) a year,” he said.
